Can effective qualitative research be conducted remotely?

The health crisis is speeding up the migration of marketing research tools to digital and mobile. Yet digital tools have long been associated with the written word. Today, new tools combining voice and image are enhancing data collection techniques. All of these tools are highly agile and can be used in a variety of ways to [...]

Brands: how can we tap into this tremendous demand for empathy?

At a time when the Coronavirus pandemic is imposing its rules, new questions are assailing consumers. The desire for health is growing, and with it the need for transparency, ethics and solidarity. This new situation will not be without effect on consumption, nor on the relationship with brands. Here's a quick look at the [...]

Facebook, Tesla... bad Karma for GAFA and NATU?

Crystal structures from another source follow =
<<<
Entry 1:
Compound: Tb2ErMg
Source: Alexandria
Functional: GGA-PBE
Structure: relaxed

Calculated values
**Magnetic moment**: 0.000 Bohr magnetons per cell
**ΔH_f (0 K)**: 0.04 eV/atom
**Mass density**: 7.2 g/cm³
**DOS(E_F)**: 4.70 states/eV/f.u.
**Energy above the most stable polymorph in this dataset**: 63 meV per atom

a b c (Å): 5.491 5.491 5.491
angles (deg): 60.00 60.00 60.00
Atoms (fractional coordinates):
Tb1 0.250 0.250 0.250
Tb2 0.750 0.750 0.750
Er1 0.000 0.000 0.000
Mg1 0.500 0.500 0.500


Entry 2:
Compound: Cr3PtW
Source: Alexandria
Functional: GGA-PBE
Structure: relaxed

Calculated values
**Magnetic moment**: 0.000 Bohr magnetons per cell
**ΔH_f (0 K)**: 1.74 eV/atom
**Mass density**: 10.2 g/cm³
**DOS(E_F)**: 8.28 states/eV/f.u.

a b c (Å): 4.429 4.429 4.429
angles (deg): 90.00 90.00 90.00
Atoms (fractional coordinates):
Cr1 0.000 0.000 0.500
Cr2 0.000 0.500 0.000
Cr3 0.500 0.000 0.000
Pt1 0.500 0.500 0.500
W1 0.000 0.000 0.000


Entry 3:
Compound: BiSb2TeP
Source: Alexandria
Functional: GGA-PBE
Structure: relaxed

Calculated values
**Magnetic moment**: 0.796 Bohr magnetons per cell
**Mass density**: 5.0 g/cm³
**DOS(E_F)**: 7.16 states/eV/f.u.
**Energy above the most stable polymorph in this dataset**: 875 meV per atom

a b c (Å): 5.876 5.876 5.927
angles (deg): 90.00 90.00 90.00
Atoms (fractional coordinates):
Bi1 0.000 0.000 0.000
Sb1 0.000 0.500 0.000
Sb2 0.500 0.000 0.000
Te1 0.000 0.000 0.500
P1 0.500 0.500 0.500


Entry 4:
Compound: BaPr2Dy
Source: Alexandria
Functional: GGA-PBE
Structure: relaxed

Calculated values
**Magnetic moment**: 0.000 Bohr magnetons per cell
**ΔH_f (0 K)**: 0.20 eV/atom
**Mass density**: 6.3 g/cm³
**DOS(E_F)**: 6.79 states/eV/f.u.
**Energy above the most stable polymorph in this dataset**: 93 meV per atom

a b c (Å): 5.319 5.319 5.445
angles (deg): 90.00 90.00 90.00
Atoms (fractional coordinates):
Ba1 0.000 0.000 0.000
Pr1 0.000 0.500 0.500
Pr2 0.500 0.000 0.500
Dy1 0.500 0.500 0.000


Entry 5:
Compound: La2TbAg2
Source: Alexandria
Functional: GGA-PBE
Structure: relaxed

Calculated values
**Magnetic moment**: 0.000 Bohr magnetons per cell
**ΔH_f (0 K)**: -0.19 eV/atom
**Mass density**: 7.6 g/cm³
**DOS(E_F)**: 5.30 states/eV/f.u.
**Energy above the most stable polymorph in this dataset**: 0 meV per atom

a b c (Å): 6.674 5.119 8.872
angles (deg): 90.00 109.16 90.00
Atoms (fractional coordinates):
La1 0.095 0.250 0.372
La2 0.121 0.250 0.954
La3 0.879 0.750 0.046
La4 0.905 0.750 0.628
Tb1 0.454 0.750 0.238
Tb2 0.546 0.250 0.762
Ag1 0.371 0.750 0.887
Ag2 0.386 0.750 0.557
Ag3 0.614 0.250 0.443
Ag4 0.629 0.250 0.113


Entry 6:
Compound: Ac4Hg3Pb
Source: Alexandria
Functional: GGA-PBE
Structure: relaxed

Calculated values
**Magnetic moment**: 0.000 Bohr magnetons per cell
**ΔH_f (0 K)**: -0.45 eV/atom
**Mass density**: 10.1 g/cm³
**DOS(E_F)**: 9.19 states/eV/f.u.
**Energy above the most stable polymorph in this dataset**: 20 meV per atom

a b c (Å): 4.483 5.043 12.520
angles (deg): 90.00 90.00 90.00
>>>

Many brands are embodied in the emblematic personality of their founder - sometimes an almost mythical collaborator: the shoemaker Kihachiro Onitsuka still personifies Asics, which he founded to give a sporting ideal back to Japanese youth after the Second World War, while the American basketball player Chuck Taylor still evokes [...].

Jakobson and the brand

Roman Jakobson never dealt directly with the brand, but his Essays in General Linguistics provide us with an interesting framework for analysing brand names and their communication, particularly in the chapter entitled Linguistics and Poetics. As a good functionalist, "language must be studied in all its functions", and he distinguishes six of them, [...].

Plaire et Toucher, Gilles Lipovetsky's latest essay - cross-examination

Gilles, you are a philosopher and sociologist, and have just published Plaire et Toucher, an essay on the Society of Seduction, published by Gallimard. Seduction has been reviled for thousands of years. What has changed? The desire to please and seductive behaviour (adornment, cosmetics, gifts, winking and flirting) seem in many ways timeless, [...].

Do you want to be a chabot coach?

According to our experts at the Adetem Factory yesterday, we have entered the 4th Industrial Revolution thanks to Artificial Intelligence, a revolution comparable to that of the discovery of electricity. AI is only one facet of this revolution, which affects a more complete ecosystem: the Internet of Things and the Cloud are the two [...].

Brands, ethics and digital harassment

RGPD - for Règlement Général sur la Protection des Données (General Data Protection Regulation): experts are stepping up their conferences to raise advertisers' awareness of the new European regulation aimed at strengthening the protection of personal data, which is due to come into force on 24 May 2018. But it's not clear that consumers are seeing it clearly... or even caring much about it: it's all [...]

Protecting the birth of ideas: interview with Olivier Laborde

Olivier, you published "Innover ou disparaître" for which you won the "Digital Book of the Year" award. You are Director of Innovation and Digital Transformation for a major financial group, and in 2015 you won the Argus de l'assurance digitale award for "Best internal strategy for digital transformation".

What's the point of a brand platform in the digital age?

What's the point of a brand platform in the digital age? In today's digital age, everyone is on Facebook: teenagers, senior citizens, Parisians, provincials, politicians... and brands, of course! On Facebook, Twitter, Snapchat, etc. All it takes is one social network to go from strength to strength, and there's a rush. Logical [...]